_Input_
# 1
DFT (wB97M-V/def2-TZVPD) results for a structure of composition C28H25AsBrN4NiO3S.

For the LUMO energy (spin up / spin down), the calculation gives -3.501 / -3.497 eV. The value obtained for the orbital gap (spin up / spin down) is 6.25 / 6.26 eV. The value obtained for the energy relative to the best compared isomer or geometry (same formula, charge and spin) is 0.0 kcal/mol. The calculated total energy is -8242.82169 Ha.

```
! wB97M-V def2-TZVPD RIJCOSX def2/J DEFGRID3
* xyz 1 1
Ni 0.37326 0.45735 -0.44043
Br 1.66631 -0.41728 -3.94160
C -0.06796 -0.85164 -3.35600
C -0.89672 -1.47870 -4.27560
C -2.18551 -1.80492 -3.89995
C -2.60628 -1.49752 -2.61707
C -1.71746 -0.87298 -1.77530
N -0.45735 -0.54385 -2.12135
C -2.10450 -0.50287 -0.37642
O -3.26287 -0.53543 -0.02202
O -1.10023 -0.17165 0.38382
H -0.52143 -1.69374 -5.26454
H -2.85246 -2.28690 -4.60235
H -3.59917 -1.72176 -2.25546
O 2.10526 0.54325 -1.08982
As 3.38434 1.10838 -0.11802
C 3.02342 2.88172 0.47899
C 3.22038 3.24647 1.80466
C 2.86680 4.52538 2.21500
C 2.32662 5.42387 1.30343
C 2.14865 5.05886 -0.02736
C 2.49777 3.78471 -0.44412
C 3.58841 -0.01417 1.40814
C 4.86180 -0.35747 1.85250
C 4.99575 -1.19792 2.94904
C 3.86619 -1.69065 3.58778
C 2.59445 -1.35330 3.13894
C 2.45378 -0.51373 2.04664
C 4.96014 1.15259 -1.16784
C 6.01118 1.98015 -0.78280
C 7.13995 2.05374 -1.58353
C 7.20784 1.30984 -2.75523
C 6.15642 0.48458 -3.13012
C 5.02285 0.40188 -2.33623
H 3.63390 2.53691 2.51180
H 3.01595 4.82325 3.24482
H 2.04516 6.41634 1.63068
H 1.73661 5.76523 -0.73568
H 2.34850 3.48038 -1.47375
H 5.74017 0.02543 1.34676
H 5.98291 -1.47733 3.29240
H 3.97521 -2.35316 4.43683
H 1.70724 -1.75442 3.61336
H 1.45377 -0.28421 1.69476
H 5.94763 2.56465 0.12795
H 7.96261 2.69670 -1.30061
H 8.08735 1.37963 -3.38145
H 6.21973 -0.09454 -4.04186
H 4.19089 -0.23093 -2.61396
N -0.19116 2.60576 1.57820
C 0.09519 2.04298 0.61642
H -0.41682 3.10079 2.41706
S -0.98026 -2.07937 2.73558
C -2.06238 -1.09461 3.54093
N -3.06690 -0.39399 2.99171
C -3.81310 0.39609 3.96150
C -3.22598 -0.07781 5.30390
N -2.05822 -0.84600 4.87607
H -3.26882 -0.45590 1.99949
H -4.88273 0.20984 3.88368
H -3.64341 1.46364 3.80198
H -3.92844 -0.70449 5.85588
H -2.93253 0.75589 5.93895
H -1.54265 -1.44479 5.49525
*
```


# 2
DFT (wB97M-V/def2-TZVPD) results for a structure of composition C28H25AsN2O11PPmS.

For the LUMO energy (spin up / spin down), the calculation gives 3.552 / 3.553 eV. The value obtained for the orbital gap (spin up / spin down) is 6.11 / 6.10 eV. Its expectation value of S² is 6.004. The value obtained for the energy relative to the best compared isomer or geometry (same formula, charge and spin) is 0.0 kcal/mol. The calculated total energy is -5602.79913 Ha.

```
! wB97M-V def2-TZVPD RIJCOSX def2/J DEFGRID3
* xyz -2 5
Pm -0.05883 -0.81992 -1.23584
O 3.63589 -2.35181 -0.77168
S 2.37669 -1.70141 -0.93198
O 2.29246 -0.37117 -0.26857
O 1.97490 -1.43850 -2.35714
O 1.13699 -2.43284 -0.39909
C 2.18769 -4.34556 3.29569
C 0.82294 -4.13471 3.18288
C 0.34623 -2.89929 2.89964
C 1.22850 -1.85613 2.62605
C 2.60945 -2.03357 2.80721
C 3.08854 -3.29656 3.10856
P 0.65143 -0.14709 2.37010
C 0.94678 0.57258 4.00274
C 1.41504 -0.06348 5.15671
C 1.60222 0.62343 6.36080
C 1.37175 2.00321 6.33304
C 0.95378 2.66899 5.17126
C 0.71869 1.92335 4.02228
C -1.13755 -0.25345 2.14294
C -2.04271 0.08447 3.16397
C -3.39311 -0.25039 2.99075
C -3.80067 -0.96990 1.88652
C -2.87937 -1.32346 0.93098
C -1.54871 -0.79578 0.91024
H 2.52535 -5.29219 3.66512
H 0.11358 -4.97235 3.26599
H -0.71129 -2.70519 2.91541
H 3.28291 -1.19834 2.64063
H 4.14032 -3.52167 3.29091
H 1.69188 -1.12066 5.09263
H 1.90205 0.07446 7.26003
H 1.56210 2.53685 7.25765
H 0.82485 3.74857 5.08379
H 0.37191 2.36886 3.12797
H -1.62986 0.51936 4.11028
H -4.13506 0.09268 3.72588
H -4.85702 -1.30032 1.74192
H -3.22882 -1.98191 0.13630
O -2.93550 -3.36280 -3.49663
C -2.22317 -2.43120 -3.16844
O -1.40578 -2.36468 -2.11933
C -2.32844 -1.15067 -4.01228
C -3.36861 -1.02575 -4.99451

_Brief_
It remains to start at the top of the data earlier on and echo each line, ending with the one that has "3.66512".

_Reply_
# 1
DFT (wB97M-V/def2-TZVPD) results for a structure of composition C28H25AsBrN4NiO3S.

For the LUMO energy (spin up / spin down), the calculation gives -3.501 / -3.497 eV. The value obtained for the orbital gap (spin up / spin down) is 6.25 / 6.26 eV. The value obtained for the energy relative to the best compared isomer or geometry (same formula, charge and spin) is 0.0 kcal/mol. The calculated total energy is -8242.82169 Ha.

```
! wB97M-V def2-TZVPD RIJCOSX def2/J DEFGRID3
* xyz 1 1
Ni 0.37326 0.45735 -0.44043
Br 1.66631 -0.41728 -3.94160
C -0.06796 -0.85164 -3.35600
C -0.89672 -1.47870 -4.27560
C -2.18551 -1.80492 -3.89995
C -2.60628 -1.49752 -2.61707
C -1.71746 -0.87298 -1.77530
N -0.45735 -0.54385 -2.12135
C -2.10450 -0.50287 -0.37642
O -3.26287 -0.53543 -0.02202
O -1.10023 -0.17165 0.38382
H -0.52143 -1.69374 -5.26454
H -2.85246 -2.28690 -4.60235
H -3.59917 -1.72176 -2.25546
O 2.10526 0.54325 -1.08982
As 3.38434 1.10838 -0.11802
C 3.02342 2.88172 0.47899
C 3.22038 3.24647 1.80466
C 2.86680 4.52538 2.21500
C 2.32662 5.42387 1.30343
C 2.14865 5.05886 -0.02736
C 2.49777 3.78471 -0.44412
C 3.58841 -0.01417 1.40814
C 4.86180 -0.35747 1.85250
C 4.99575 -1.19792 2.94904
C 3.86619 -1.69065 3.58778
C 2.59445 -1.35330 3.13894
C 2.45378 -0.51373 2.04664
C 4.96014 1.15259 -1.16784
C 6.01118 1.98015 -0.78280
C 7.13995 2.05374 -1.58353
C 7.20784 1.30984 -2.75523
C 6.15642 0.48458 -3.13012
C 5.02285 0.40188 -2.33623
H 3.63390 2.53691 2.51180
H 3.01595 4.82325 3.24482
H 2.04516 6.41634 1.63068
H 1.73661 5.76523 -0.73568
H 2.34850 3.48038 -1.47375
H 5.74017 0.02543 1.34676
H 5.98291 -1.47733 3.29240
H 3.97521 -2.35316 4.43683
H 1.70724 -1.75442 3.61336
H 1.45377 -0.28421 1.69476
H 5.94763 2.56465 0.12795
H 7.96261 2.69670 -1.30061
H 8.08735 1.37963 -3.38145
H 6.21973 -0.09454 -4.04186
H 4.19089 -0.23093 -2.61396
N -0.19116 2.60576 1.57820
C 0.09519 2.04298 0.61642
H -0.41682 3.10079 2.41706
S -0.98026 -2.07937 2.73558
C -2.06238 -1.09461 3.54093
N -3.06690 -0.39399 2.99171
C -3.81310 0.39609 3.96150
C -3.22598 -0.07781 5.30390
N -2.05822 -0.84600 4.87607
H -3.26882 -0.45590 1.99949
H -4.88273 0.20984 3.88368
H -3.64341 1.46364 3.80198
H -3.92844 -0.70449 5.85588
H -2.93253 0.75589 5.93895
H -1.54265 -1.44479 5.49525
*
```


# 2
DFT (wB97M-V/def2-TZVPD) results for a structure of composition C28H25AsN2O11PPmS.

For the LUMO energy (spin up / spin down), the calculation gives 3.552 / 3.553 eV. The value obtained for the orbital gap (spin up / spin down) is 6.11 / 6.10 eV. Its expectation value of S² is 6.004. The value obtained for the energy relative to the best compared isomer or geometry (same formula, charge and spin) is 0.0 kcal/mol. The calculated total energy is -5602.79913 Ha.

```
! wB97M-V def2-TZVPD RIJCOSX def2/J DEFGRID3
* xyz -2 5
Pm -0.05883 -0.81992 -1.23584
O 3.63589 -2.35181 -0.77168
S 2.37669 -1.70141 -0.93198
O 2.29246 -0.37117 -0.26857
O 1.97490 -1.43850 -2.35714
O 1.13699 -2.43284 -0.39909
C 2.18769 -4.34556 3.29569
C 0.82294 -4.13471 3.18288
C 0.34623 -2.89929 2.89964
C 1.22850 -1.85613 2.62605
C 2.60945 -2.03357 2.80721
C 3.08854 -3.29656 3.10856
P 0.65143 -0.14709 2.37010
C 0.94678 0.57258 4.00274
C 1.41504 -0.06348 5.15671
C 1.60222 0.62343 6.36080
C 1.37175 2.00321 6.33304
C 0.95378 2.66899 5.17126
C 0.71869 1.92335 4.02228
C -1.13755 -0.25345 2.14294
C -2.04271 0.08447 3.16397
C -3.39311 -0.25039 2.99075
C -3.80067 -0.96990 1.88652
C -2.87937 -1.32346 0.93098
C -1.54871 -0.79578 0.91024
H 2.52535 -5.29219 3.66512